Thursday, 31 July 2008

Singapore Airlines vs Cathay Pacific 2008

There has been a change in the date for the SQ vs CX game.
Felix proposed Tuesday 12 Aug and Wednesday 13 Aug for two days of games against 5 of their players 4M & 1L

The proposed itinerary as follows, please volunteer your services if you are in town. The name of the people assisting are in brackets::

Tuesday Aug 12:

  • 3:00pm Help arrange transport Hotel - Sports Club
  • 3:30pm Meet with Sports Club officials and tour of SIA Sports Club.
  • 4:00pm Squash games till 6.30pm
  • 7:00pm Dinner at Sports Club (catering to be confirmed)
  • 9:00pm Proceed For Satay and drinks at Satay Club.
  • Available helpers Das, Eric Phuah.

Available Players for 12 Aug

  1. Rizal
  2. Eric Phuah
  3. Jeremy
  4. Frank
  5. Johann Pieris
  6. Daren Chan
  7. Kalidas
  8. Gillian (has to play early)
  • Players will be SMSed to confirm their requirement for the games.

Wednesday Aug 13

  • 3:00pm Transport from Hotel to Club
  • 4:00pm Squash Games Part II
  • 6:30pm Wash up and head to Long Beach for seafood dinner.

Players for 13 Aug

  1. Oma
  2. Eric Phuah
  3. Felix
  4. Jeremy
  5. Johann Pieris

[Original post from Felix:]

These materials data were left in the piece by mistake:
The following is a computed powder diffractogram of Sr2Hf7O16. It was derived from a DFT-relaxed cell (PBE, Alexandria), using Cu Ka.
No peak broadening, texture or thermal motion is included.

Cell and atoms:
```
25
Lattice="3.202 1.849 8.931 -3.202 1.849 8.931 0.000 -3.698 8.931" Properties=species:S:1:pos:R:3 pbc="T T T"
Sr 0.000 0.000 4.458
Sr 0.000 0.000 22.335
Hf -2.367 -0.011 10.304
Hf -1.174 -2.055 16.488
Hf 1.193 -2.045 10.304
Hf 0.000 0.000 13.396
Hf -1.193 2.045 16.488
Hf 1.174 2.055 10.304
Hf 2.367 0.010 16.488
O 0.000 0.000 1.886
O -0.835 -1.593 9.732
O -1.762 -0.031 12.252
O 0.000 0.000 7.078
O -0.854 -1.541 14.541
O -1.797 -0.074 17.061
O -0.963 1.519 9.732
O 0.908 -1.510 12.252
O -0.908 1.510 14.541
O 0.963 -1.519 17.061
O 1.797 0.074 9.732
O 0.854 1.541 12.252
O 0.000 0.000 19.715
O 1.762 0.031 14.541
O 0.835 1.593 17.061
O 0.000 0.000 24.907
```

Top 12 peaks for 10° ≤ 2θ ≤ 80°, in order of falling intensity:
2θ/deg  I/Imax
29.63  100
34.46  47
30.02  32
49.78  28
49.29  27
58.79  24
59.23  15
58.57  11
72.67  8
61.52  8
79.99  7
20.79  7

---

The following is a computed powder diffractogram of Sr3Hf2O7. It was derived from a DFT-relaxed cell (PBE, Alexandria), using Cu Ka.
No peak broadening, texture or thermal motion is included.

Cell and atoms:
```
24
Lattice="2.886 -10.685 0.000 2.886 10.685 0.000 0.000 0.000 5.772" Properties=species:S:1:pos:R:3 pbc="T T T"
Sr 2.886 9.367 4.329
Sr 2.886 5.343 4.329
Sr 2.886 1.319 4.329
Sr 2.886 -1.319 1.443
Sr 2.886 -5.343 1.443
Sr 2.886 -9.367 1.443
Hf 2.886 7.445 1.443
Hf 2.886 3.240 1.443
Hf 2.886 -3.240 4.329
Hf 2.886 -7.445 4.329
O 1.163 3.273 0.280
O 2.886 9.535 1.443
O 1.723 3.273 3.166
O 2.886 5.343 1.443
O 1.163 -3.273 3.166
O 2.886 1.150 1.443
O 1.723 -3.273 0.280
O 4.049 3.273 5.492
O 2.886 -1.150 4.329
O 4.609 3.273 2.606
O 2.886 -5.343 4.329
O 4.049 -3.273 2.606
O 2.886 -9.535 4.329
O 4.609 -3.273 5.492
```

Top 12 peaks for 10° ≤ 2θ ≤ 80°, in order of falling intensity:
2θ/deg  I/Imax
30.28  100
30.99  59
54.68  42
44.39  29
53.34  22
22.17  17
62.98  17
16.59  16
42.29  15
73.35  11
64.59  9
72.98  8

---

The following is a computed powder diffractogram of Sr3Hf2O7. It was derived from a DFT-relaxed cell (PBE, Alexandria), using Cu Ka.
No peak broadening, texture or thermal motion is included.

Cell and atoms:
```
12
Lattice="-2.066 2.066 10.517 2.066 -2.066 10.517 2.066 2.066 -10.517" Properties=species:S:1:pos:R:3 pbc="T T T"
Sr 0.000 0.000 0.000
Sr 0.000 0.000 3.925
Sr 0.000 0.000 17.108
Hf 0.000 0.000 8.423
Hf 0.000 0.000 12.611
O 2.066 0.000 2.059
O 0.000 0.000 6.345
O 2.066 0.000 8.458
O 0.000 0.000 10.517
O 0.000 2.066 2.059
O 0.000 0.000 14.689
O 0.000 2.066 8.458
```

Top 12 peaks for 10° ≤ 2θ ≤ 80°, in order of falling intensity:
2θ/deg  I/Imax
30.32  100
30.60  58
54.21  41
43.82  32
53.69  20
21.92  18
16.86  17
63.07  17
43.00  14
72.31  10
63.70  10
44.54  10
The materials data stop here:

Ladies and Gentleman of the racket club ;-)
Latest from Cathay is that they are trying to put together a team for our annual match in Singapore this October... so, I know our league season is over - but no time to rest on our laurels... got the WAST in August, CX visit in Oct!
Keep fit everyone... hahaaa....

08 Jun 2008 PM 02:32


Anonymous said...

i can make it.
was talking to rizal, he can make it too.
Oma cant make it. He will be in JB with Michelle and baby....
dun worry abt fielding me if got too many players. me in for the makan n fellowship!yeah!

Anonymous said...

I'm quite sure I shd be behind BOTH Lenz and Jeremy.... haven't touched my racket since I don know when ;-) hahaa...
Don't want to be accused of fiddling with the rankings now, do we??

Cheers, felix

Anonymous said...

And behind Frank too!!!

Oh, lets confirm the ladies as well - because if all our girls can play (most are office-based) Millie, Wendy, Evelyn, Gillian - we can field one or two in the number 4-5 men's as well ;-)


Anonymous said...

Hi Jeremy,

I'll come by for the lunch on Tuesday Aug 12th from office.
And play Tuesday night match if u need the numbers.

I'm not able to play on Wednesday Aug 13th though. Office la... but will come by and join the dinner.

Suggestion - how about karaoke on Tuesday night after the match???


Anonymous said...

Gents, and Ladies,

To make up for the loss of a year's game last year, we're thinking of sending a team up to HK to return the favour of CX visiting us last month. Also to make up for the fact that we did not travel for squash this year - can use the funds from club.

Earlier, we had suggested first weekend Nov - but Ronnie mentioned there's a big rugby event there that weekend.

He suggested we consider the weekend of Nov 21-22-23. I'd like to see if we can assemble a team to travel to HK over that weekend. Show of hands please? Register your interest to me at or 96156022 (mobile).

Hope to have a good turnout for this one!
thanks all,